Source
'''
DFT (ωB97M-V/def2-TZVPD) results for C16H25CoN5O6 as an isolated structure.

Element x y z (Å)
O (-3.594, 0.516, -0.163)
H (-4.262, 1.218, -0.254)
Co (-0.007, 0.003, -0.003)
N (-1.263, -1.100, 0.793)
N (-0.080, 1.024, 1.565)
N (0.281, -1.051, -1.491)
N (1.440, 1.014, -0.726)
O (-1.636, -2.259, 0.454)
O (-0.362, -2.174, -1.801)
O (2.083, 2.025, -0.136)
O (0.653, 2.005, 1.953)
C (-1.111, 0.642, 2.367)
C (-1.746, -0.553, 1.951)
C (1.315, -0.682, -2.277)
C (2.016, 0.481, -1.817)
C (-2.931, -1.216, 2.530)
H (-3.754, -1.175, 1.802)
H (-3.242, -0.713, 3.449)
H (-2.708, -2.269, 2.754)
C (-1.503, 1.514, 3.491)
H (-1.813, 2.501, 3.133)
H (-0.653, 1.649, 4.164)
H (-2.331, 1.073, 4.047)
C (1.723, -1.496, -3.450)
C (3.296, 0.977, -2.388)
H (0.886, -2.117, -3.796)
H (2.575, -2.152, -3.199)
H (2.054, -0.825, -4.255)
H (3.820, 1.613, -1.669)
H (3.125, 1.557, -3.306)
H (3.951, 0.136, -2.651)
H (-0.991, -2.322, -0.986)
H (1.514, 2.137, 0.748)
C (-1.330, 1.223, -0.783)
H (-2.613, 0.968, -0.412)
H (-1.339, 1.084, -1.874)
H (-1.152, 2.268, -0.483)
O (-3.378, -1.624, -1.636)
H (-3.615, -0.743, -1.202)
H (-3.167, -1.386, -2.563)
N (1.281, -1.029, 0.956)
C (2.388, -1.041, 1.357)
C (3.740, -1.026, 1.791)
C (4.532, 0.124, 1.614)
C (5.863, 0.138, 2.034)
C (6.422, -0.993, 2.638)
C (5.643, -2.140, 2.817)
C (4.309, -2.160, 2.401)
H (4.088, 1.008, 1.150)
H (6.467, 1.036, 1.892)
H (7.463, -0.980, 2.971)
H (6.068, -3.032, 3.287)
H (3.688, -3.049, 2.542)

The HOMO energy (spin up / spin down) comes out at -0.195 / -0.302 hartree. As for the spin multiplicity: 4. The gap between HOMO and LUMO (spin up / spin down) is 4.934 / 7.550 eV. Its expectation value of S² is 3.7787. The lowest unoccupied orbital energy (spin up / spin down) is -0.386 / -0.681 eV.

And the Löwdin charges, in e, turn out to be:
1 O -0.12
2 H 0.07
3 Co 0.33
4 N -0.20
5 N -0.20
6 N -0.08
7 N -0.07
8 O -0.06
9 O 0.01
10 O -0.03
11 O -0.09
12 C -0.26
13 C -0.25
14 C -0.22
15 C -0.22
16 C -0.03
17 H 0.09
18 H 0.07
19 H 0.09
20 C -0.03
21 H 0.09
22 H 0.08
23 H 0.07
24 C -0.01
25 C -0.01
26 H 0.09
27 H 0.10
28 H 0.09
29 H 0.08
30 H 0.10
31 H 0.09
32 H 0.08
33 H 0.06
34 C 0.00
35 H -0.04
36 H 0.03
37 H 0.04
38 O -0.11
39 H 0.00
40 H 0.04
41 N 0.22
42 C 0.00
43 C -0.20
44 C -0.01
45 C -0.06
46 C -0.07
47 C -0.07
48 C -0.02
49 H 0.11
50 H 0.11
51 H 0.11
52 H 0.11
53 H 0.12


# 1
{
  "formula": "C3H4O2S2",
  "method": "ωB97M-V/def2-TZVPD",
  "elements": ["O", "C", "C", "O", "S", "C", "S", "H", "H", "H", "H"],
  "xyz": [[-0.7967, 2.2822, -0.0223], [-0.4050, 1.0713, -0.0140], [-0.8940, -0.1323, 0.0859], [-2.2543, -0.1732, 0.1913], [0.0420, -1.6270, 0.2072], [1.6783, -0.9333, -0.3379], [1.7464, 0.8407, 0.0689], [-0.7992, 2.4932, 0.9262], [-2.6480, -1.0029, -0.1864], [1.9844, -1.2922, -1.2496], [2.3459, -1.5264, 0.3308]],
  "atomic_forces_ev_per_a": [[-1.189, 2.123, 0.743], [5.913, -2.784, -0.475], [-1.093, -0.406, -0.244], [-1.169, -1.670, -0.224], [0.145, 0.607, -0.465], [-0.462, -0.362, 3.760], [-2.390, -0.277, -0.521], [-0.335, 0.889, -0.195], [0.773, 1.075, 0.441], [0.031, -0.023, -2.785], [-0.223, 0.828, -0.035]],
  "lowdin_charge": [0.08, -0.48, -0.70, -0.01, 0.89, -0.80, 0.72, 0.15, 0.13, -0.01, 0.03],
  "e_above_lowest_kcal_mol": 57.4,
  "e_homo_ev": -8.09,
  "smiles": "OC1=C(O)SCS1",
  "e_lumo_ev": 0.21,
  "charge": 0,
  "energy_ha": -1063.47269
}


# 2
{
  "formula": "C17H29F3N3O3OsSi2",
  "method": "ωB97M-V/def2-TZVPD",
  "elements": ["Os", "C", "Si", "C", "C", "C", "C", "C", "C", "C", "Si", "C", "C", "H", "H", "H", "H", "H", "H", "H", "H", "H", "H", "H", "H", "H", "H", "H", "H", "O", "C", "O", "O", "C", "N", "C", "C", "N", "N", "C", "C", "H", "H", "H", "H", "H", "H", "H", "H", "H", "H", "H", "H", "H", "F", "C", "F", "F"],
'''

Activity
Now retype all of the lines above word for word.

Result
DFT (ωB97M-V/def2-TZVPD) results for C16H25CoN5O6 as an isolated structure.

Element x y z (Å)
O (-3.594, 0.516, -0.163)
H (-4.262, 1.218, -0.254)
Co (-0.007, 0.003, -0.003)
N (-1.263, -1.100, 0.793)
N (-0.080, 1.024, 1.565)
N (0.281, -1.051, -1.491)
N (1.440, 1.014, -0.726)
O (-1.636, -2.259, 0.454)
O (-0.362, -2.174, -1.801)
O (2.083, 2.025, -0.136)
O (0.653, 2.005, 1.953)
C (-1.111, 0.642, 2.367)
C (-1.746, -0.553, 1.951)
C (1.315, -0.682, -2.277)
C (2.016, 0.481, -1.817)
C (-2.931, -1.216, 2.530)
H (-3.754, -1.175, 1.802)
H (-3.242, -0.713, 3.449)
H (-2.708, -2.269, 2.754)
C (-1.503, 1.514, 3.491)
H (-1.813, 2.501, 3.133)
H (-0.653, 1.649, 4.164)
H (-2.331, 1.073, 4.047)
C (1.723, -1.496, -3.450)
C (3.296, 0.977, -2.388)
H (0.886, -2.117, -3.796)
H (2.575, -2.152, -3.199)
H (2.054, -0.825, -4.255)
H (3.820, 1.613, -1.669)
H (3.125, 1.557, -3.306)
H (3.951, 0.136, -2.651)
H (-0.991, -2.322, -0.986)
H (1.514, 2.137, 0.748)
C (-1.330, 1.223, -0.783)
H (-2.613, 0.968, -0.412)
H (-1.339, 1.084, -1.874)
H (-1.152, 2.268, -0.483)
O (-3.378, -1.624, -1.636)
H (-3.615, -0.743, -1.202)
H (-3.167, -1.386, -2.563)
N (1.281, -1.029, 0.956)
C (2.388, -1.041, 1.357)
C (3.740, -1.026, 1.791)
C (4.532, 0.124, 1.614)
C (5.863, 0.138, 2.034)
C (6.422, -0.993, 2.638)
C (5.643, -2.140, 2.817)
C (4.309, -2.160, 2.401)
H (4.088, 1.008, 1.150)
H (6.467, 1.036, 1.892)
H (7.463, -0.980, 2.971)
H (6.068, -3.032, 3.287)
H (3.688, -3.049, 2.542)

The HOMO energy (spin up / spin down) comes out at -0.195 / -0.302 hartree. As for the spin multiplicity: 4. The gap between HOMO and LUMO (spin up / spin down) is 4.934 / 7.550 eV. Its expectation value of S² is 3.7787. The lowest unoccupied orbital energy (spin up / spin down) is -0.386 / -0.681 eV.

And the Löwdin charges, in e, turn out to be:
1 O -0.12
2 H 0.07
3 Co 0.33
4 N -0.20
5 N -0.20
6 N -0.08
7 N -0.07
8 O -0.06
9 O 0.01
10 O -0.03
11 O -0.09
12 C -0.26
13 C -0.25
14 C -0.22
15 C -0.22
16 C -0.03
17 H 0.09
18 H 0.07
19 H 0.09
20 C -0.03
21 H 0.09
22 H 0.08
23 H 0.07
24 C -0.01
25 C -0.01
26 H 0.09
27 H 0.10
28 H 0.09
29 H 0.08
30 H 0.10
31 H 0.09
32 H 0.08
33 H 0.06
34 C 0.00
35 H -0.04
36 H 0.03
37 H 0.04
38 O -0.11
39 H 0.00
40 H 0.04
41 N 0.22
42 C 0.00
43 C -0.20
44 C -0.01
45 C -0.06
46 C -0.07
47 C -0.07
48 C -0.02
49 H 0.11
50 H 0.11
51 H 0.11
52 H 0.11
53 H 0.12


# 1
{
  "formula": "C3H4O2S2",
  "method": "ωB97M-V/def2-TZVPD",
  "elements": ["O", "C", "C", "O", "S", "C", "S", "H", "H", "H", "H"],
  "xyz": [[-0.7967, 2.2822, -0.0223], [-0.4050, 1.0713, -0.0140], [-0.8940, -0.1323, 0.0859], [-2.2543, -0.1732, 0.1913], [0.0420, -1.6270, 0.2072], [1.6783, -0.9333, -0.3379], [1.7464, 0.8407, 0.0689], [-0.7992, 2.4932, 0.9262], [-2.6480, -1.0029, -0.1864], [1.9844, -1.2922, -1.2496], [2.3459, -1.5264, 0.3308]],
  "atomic_forces_ev_per_a": [[-1.189, 2.123, 0.743], [5.913, -2.784, -0.475], [-1.093, -0.406, -0.244], [-1.169, -1.670, -0.224], [0.145, 0.607, -0.465], [-0.462, -0.362, 3.760], [-2.390, -0.277, -0.521], [-0.335, 0.889, -0.195], [0.773, 1.075, 0.441], [0.031, -0.023, -2.785], [-0.223, 0.828, -0.035]],
  "lowdin_charge": [0.08, -0.48, -0.70, -0.01, 0.89, -0.80, 0.72, 0.15, 0.13, -0.01, 0.03],
  "e_above_lowest_kcal_mol": 57.4,
  "e_homo_ev": -8.09,
  "smiles": "OC1=C(O)SCS1",
  "e_lumo_ev": 0.21,
  "charge": 0,
  "energy_ha": -1063.47269
}


# 2
{
  "formula": "C17H29F3N3O3OsSi2",
  "method": "ωB97M-V/def2-TZVPD",
  "elements": ["Os", "C", "Si", "C", "C", "C", "C", "C", "C", "C", "Si", "C", "C", "H", "H", "H", "H", "H", "H", "H", "H", "H", "H", "H", "H", "H", "H", "H", "H", "O", "C", "O", "O", "C", "N", "C", "C", "N", "N", "C", "C", "H", "H", "H", "H", "H", "H", "H", "H", "H", "H", "H", "H", "H", "F", "C", "F", "F"],